Beginners and Beyond


Penguins Can Eat What They Want Mondailies (Read 25 times)




    Still trying to breath


    Excellent Job! WTG!


    Former Bad Ass



      Still trying to breath





      Former Bad Ass

        No labs. upper and lower gi scope. Prep is awfully similar to the high carbs of marathon training.


        I forgot.  My husband did this a few years ago.


        Singer who runs a smidge



          Still trying to breath

Inserted here: data records =
~~~
ORCA calculation (ωB97M-V/def2-TZVPD) on 3 unconnected molecules or ions with the total composition C37H48BrFN2O9 in a non-equilibrium geometry.

Summary:
SMILES string = C=C[C@@](C#N)(CCCCCCCCCCCCCC)[C@](C#N)(CCCF)CC(=O)Br.O=C1C=C(O)C(=O)C=C1O.O=C1C=C(O)C(=O)C=C1O
charge = 0
HOMO-LUMO gap = 6.82 eV
highest occupied orbital energy = -8.5346 eV

Each line ends with the Löwdin charge.
Positions of all 98 atoms, in Å:
C  4.0546  -0.6053  -0.5577  0.047
C  3.1549  -0.1971  -1.5417  -0.095
C  1.6546  -0.5275  -1.5422  -0.338
C  1.3662  -0.9507  -0.1234  -0.203
N  1.1079  -1.1396  0.9563  0.230
C  0.8259  0.7520  -1.9296  -0.137
C  0.0322  1.4114  -0.7786  -0.179
C  -1.3376  0.7251  -0.4832  -0.209
C  -2.5118  1.7266  -0.3518  -0.196
C  -3.8461  0.8941  -0.3439  -0.206
C  -4.5934  0.9763  1.0289  -0.205
C  -5.3470  -0.3433  1.3419  -0.214
C  -6.4485  -0.6869  0.2955  -0.198
C  -6.5540  -2.2377  0.1272  -0.207
C  -8.0037  -2.7406  -0.1375  -0.214
C  -8.8041  -1.8812  -1.1519  -0.223
C  -8.0330  -1.6701  -2.4870  -0.209
C  -9.0123  -1.3176  -3.6638  -0.254
C  -8.8337  -2.3474  -4.8045  -0.127
C  1.3406  -1.6981  -2.5643  -0.309
C  -0.1075  -2.0256  -2.3923  -0.187
N  -1.1792  -2.3478  -2.4353  0.262
C  2.1609  -2.9935  -2.2775  -0.120
C  1.5540  -3.9732  -1.2370  -0.150
C  0.7387  -5.1424  -1.8702  -0.198
F  -0.5340  -5.2318  -1.3316  -0.060
C  1.7103  -1.2159  -4.0099  -0.093
C  0.5156  -0.9953  -4.9517  -0.781
O  -0.1870  -1.7959  -5.3616  0.099
Br  0.2113  0.8771  -5.5652  0.666
H  4.1766  -0.1098  0.4120  0.047
H  4.7266  -1.4446  -0.8077  0.074
H  3.5235  0.4037  -2.3891  0.119
H  0.1117  0.5840  -2.7501  0.074
H  1.5463  1.4930  -2.3169  0.117
H  -0.2301  2.4266  -1.1324  0.110
H  0.6214  1.5743  0.1360  0.110
H  -1.2681  0.1942  0.4826  0.108
H  -1.6078  -0.0155  -1.2469  0.085
H  -2.4436  2.3799  0.5278  0.109
H  -2.5467  2.3209  -1.2819  0.105
H  -3.5999  -0.1731  -0.4902  0.102
H  -4.4908  1.1789  -1.1877  0.103
H  -3.8278  1.0962  1.8098  0.104
H  -5.2805  1.8332  0.9528  0.112
H  -5.7768  -0.2619  2.3519  0.108
H  -4.6209  -1.1744  1.3263  0.105
H  -6.2118  -0.2166  -0.6649  0.084
H  -7.4240  -0.3543  0.6864  0.109
H  -5.9167  -2.5367  -0.7195  0.109
H  -6.1978  -2.7595  1.0301  0.104
H  -8.5492  -2.7855  0.8191  0.106
H  -7.9275  -3.7477  -0.5808  0.106
H  -9.6994  -2.4700  -1.4230  0.103
H  -9.1730  -0.9333  -0.7338  0.107
H  -7.3105  -0.8529  -2.3641  0.093
H  -7.5218  -2.6067  -2.7591  0.106
H  -10.0423  -1.3566  -3.2731  0.093
H  -8.8559  -0.2902  -4.0234  0.099
H  -9.0504  -3.3715  -4.4662  0.073
H  -7.7877  -2.3274  -5.1508  0.073
H  -9.4743  -2.0963  -5.6642  0.065
H  3.1952  -2.7601  -1.9896  0.107
H  2.2537  -3.5600  -3.2200  0.116
H  0.9267  -3.5126  -0.4618  0.103
H  2.4029  -4.4307  -0.7034  0.113
H  0.6674  -5.0049  -2.9576  0.114
H  1.2401  -6.0820  -1.5972  0.115
H  2.2768  -0.2765  -4.0067  0.090
H  2.3646  -1.9338  -4.5256  0.136
O  5.3088  1.1999  1.8994  0.079
C  6.0025  2.0952  1.4451  -0.305
~~~
The data records stop here =



          When it's all said and done, no one remembers how far we have run.  The only thing that matters is how we have loved.


          Barking Mad To Run

            Not yet but closer.  I had to stop a lot to sniffle and blow my nose yesterday.


            Stop?  What the heck for?  Just blow out some snot rockets while on the run!

            "Do what you can, with what you have, where you are." Theodore Roosevelt


              Brilliant - great job!  What was the race?


              I ended up doing 5 on the TM.  Jim wasn't feeling well, so he didn't want to go out in the heat for a hike today.  Can't blame him.  It was already hot and humid when we walked Ben this morning.  I decided to do my tempo interval run for the week as long as I had the treadmill to keep me on pace.  It's the fastest I've run for a long time, even though I was just doing HM pace.  Felt good to be able to do it.


              Penguin Power!



                Still trying to breath


                Yep - I knew that your PR was soft =D  Excellent job speedy!!

                Upcoming Races: Run as One 4M (4/24) * Japan Run 4M (5/8) * Brooklyn Half (5/21) 


                  Zel - I think you should do it.  You have done some awesome training lately, considering you aren't training for anything!


                  Yep, Jill, you were right! Big grin  I'm pretty happy with the results.  The 5k was a lunchtime race put on once a month for Boeing employees, by their recreation staff.  I just put up a RR.

                  Amazonian Princess

                    Belated congrats to PAD!


                    Congrats to Brilliant, too!


                    Enjoy the weight training circuit, scotty; 24 races so far this year is impressive!


                    Hope the sniffles are better soon, Docket.


                    Lauren - did you mention fundraising for Ronald McDonald house for a race you're doing?


                    Jerry - I heart Hostess Cupcakes, too. Cutting back for another race?


                    Hi, Kathleen, I hope the rest is helping.


                    Hello and hugs to everyone else because my ride just got here (my eye is better but no driving yet)


                    Home for a sunset run/walk around the neighborhood to enjoy sunny breezy weather

                    I can. I will. I am. 

                    From the Internet.

                      Bacon - yes, my running club is affiliated with the House in our city Smile

                      Amazonian Princess

                        Bacon - yes, my running club is affiliated with the House in our city Smile


                        Please send me the donation info (PM if you'd like)

                        I can. I will. I am. 


                        Former Bad Ass


                          Stop?  What the heck for?  Just blow out some snot rockets while on the run!

                          Ahem, I was on my TM at home!!!!



                          Former Bad Ass

                            7 done.  5 on the TM until the feels like went down to 86F and finished 2 outside. Sweat more in the 2 than in the 5.



                              Zel, do it!


                              Brill, woohoo!


                              Pad, grats again!


                              RD for me! Working nights sucks this week, just as much as it sucked last week.


                                Do it Zel!



